Publicado em Denmark - Análise e debates políticos - 24 May 2018 03:43 - 31
Hello brave men of North and eWorld.
Peace terms are listed below.
1. Romania will make peace with Denmark.
2. Denmark will rent Svealand to Romania for 9k q5 helis/month for a 4 month period.
3. If Romania loses control of Svealand via rw, Denmark will take the region and return it to Romania asap.
4. Romania will sign a NAP with all 18+ members.
5. After 4 months period ends, both sides will start another negotiation about rent. If both sides cannot agree on a deal, Svealand will be returned to Denmark and Romania cannot have a claim on that region.
Hope peace will be last.
Peace terms are listed below.
1. Romania will make peace with Denmark.
2. Denmark will rent Svealand to Romania for 9k q5 helis/month for a 4 month period.
3. If Romania loses control of Svealand via rw, Denmark will take the region and return it to Romania asap.
4. Romania will sign a NAP with all 18+ members.
5. After 4 months period ends, both sides will start another negotiation about rent. If both sides cannot agree on a deal, Svealand will be returned to Denmark and Romania cannot have a claim on that region.
Hope peace will be last.
GazijaFK_Lokomotiva_BiHchicagolupanpaSt0L3nSt0L3nSt0L3nhomersimpsonComentários (31)



Signed as HQ of 18+ o7

romania signed NAP and poland and albania are about to get deleted lol?

dobri ste bili

haha it s so funny 

funny really, why take regions and hold them when you can pay rent for those regions 9k helis per month, well sides are switching but in few weeks it will be exactly the same just this time few other countries got screwed , but there will be nothing even remotely close to balance in the game and same cunts on top of the wheel will remain there, pathetic

Svealand was Georgian region and we give Romania for pleasure. and now as i see they lost it and now that region isn t anymore of Georgia

Svealand was, is and always be Nordic. Svealand is Denmark.

there s nothing nordic in dennmark except maybe for your MU name, so svealand isnt dennmark, svealand is swedish region, just sweden norway and finnland are v weak countries and those regions getting conquered by 1 country or another, i honestly dont understand how can a country rent a region from another country which isnt even theirs and as for georgia s nap breaking and taking some of those regions, the north remembers...

Svealand is Georgian region. We rented it to Romania for free, it s a very funny situation

North remembers. come and see whats nordic 

im talking about the real north, not wannabe north
and yeah nothing is forgotten

leave real world behind when you login to this game friend. this is an mmorpg game. if you can not seperate two worlds then you have a problem

true true, you are right about that and its not my place to judge your ingame actions/movements or inactions ,or my goverments decissions, lets not spamm the comments anymore with useless chat, o/

(Attached: records of crystals)
=====
Starting from a structure optimized by DFT (GGA+U), the X-ray diffraction stick pattern of La2MnBiO6 was simulated for λ = 1.5418 Å (Cu Kα).

Crystal structure
abc: 5.488 5.488 5.379
angles: 90.00 90.00 90.00
Element x y z (fractional)
La: 0.000 0.500 0.000
La: 0.500 0.000 0.000
Mn: 0.000 0.000 0.612
Bi: 0.500 0.500 0.545
O: 0.000 0.000 0.216
O: 0.238 0.238 0.730
O: 0.238 0.762 0.730
O: 0.500 0.500 0.120
O: 0.762 0.238 0.730
O: 0.762 0.762 0.730

Most intense lines, 2θ from 5° to 70°, by intensity:
28.36°, rel. 100; 32.64°, rel. 35; 55.65°, rel. 31; 47.33°, rel. 28; 46.83°, rel. 20; 16.15°, rel. 14

=====

Starting from a structure optimized by DFT (PBE), the XRD peak list of Pu2Th4Sb3N2 was calculated for Cu Ka.

Main lines, low angle first (2θ from 10° to 90°):
2θ = 27.14°, intensity 57.6; 2θ = 27.54°, intensity 15.6; 2θ = 29.69°, intensity 27.0; 2θ = 30.48°, intensity 14.6; 2θ = 33.56°, intensity 100.0; 2θ = 34.61°, intensity 15.9; 2θ = 37.44°, intensity 57.6; 2θ = 47.10°, intensity 15.1; 2θ = 50.05°, intensity 14.0; 2θ = 51.90°, intensity 20.5; 2θ = 53.99°, intensity 20.3; 2θ = 65.09°, intensity 30.5

Structural model:
```
Pu2Th4Sb3N2
1.0
-2.4021 2.4021 12.9569
2.4021 -2.4021 12.9569
2.4021 2.4021 -12.9569
Pu Th Sb N
2 4 3 2
direct
0.1970 0.1970 0.0000
0.8030 0.8030 0.0000
0.0851 0.5851 0.5000
0.4149 0.9149 0.5000
0.5851 0.0851 0.5000
0.9149 0.4149 0.5000
0.3226 0.3226 0.0000
0.5000 0.5000 0.0000
0.6774 0.6774 0.0000
0.1052 0.1052 0.0000
0.8948 0.8948 0.0000
```

=====

[1]
This entry pairs a crystal structure of CdBi2Pb2 with its calculated powder X-ray diffraction pattern. Radiation: Cu Kα X-rays. Structure: a structure optimized by DFT (PBE).

Crystal structure
```
data_CdBi2Pb2
_chemical_formula_sum 'Cd2 Bi4 Pb4'
_space_group_name_H-M_alt 'P 4/m b m'
_space_group_IT_number 127
_space_group_name_Hall '-P 4 2ab'
_cell_length_a 8.9743
_cell_length_b 8.9743
_cell_length_c 4.0965
_cell_angle_alpha 90.00
_cell_angle_beta 90.00
_cell_angle_gamma 90.00
loop_
_atom_site_label
_atom_site_fract_x
_atom_site_fract_y
_atom_site_fract_z
Cd1 0.0000 0.0000 0.0000
Bi1 0.1412 0.3588 0.5000
Pb1 0.1503 0.6503 0.0000
```

Principal peaks in the range 2θ = 5–70°, most intense first:
31.20 deg, I = 100, (2 1 1); 31.52 deg, I = 41, (3 1 0); 59.92 deg, I = 25, (5 2 1); 55.31 deg, I = 17, (3 1 2); 13.96 deg, I = 14, (1 1 0); 40.19 deg, I = 12, (4 0 0); 44.22 deg, I = 11, (0 0 2); 42.50 deg, I = 10, (3 2 1); 42.75 deg, I = 9, (3 3 0); 47.29 deg, I = 9, (4 1 1)

***

[2]
This entry pairs a crystal structure of Cd3BiPb3 with its calculated powder X-ray diffraction pattern. Radiation: Cu Kα X-rays. Structure: a structure optimized by DFT (PBE).

Crystal structure
```
data_Cd3BiPb3
_chemical_formula_sum 'Cd18 Bi6 Pb18'
_space_group_name_H-M_alt 'R -3 m'
_space_group_IT_number 166
_space_group_name_Hall '-R 3 2"'
_cell_length_a 7.1188
_cell_length_b 7.1188
_cell_length_c 28.6463
_cell_angle_alpha 90.00
_cell_angle_beta 90.00
_cell_angle_gamma 120.00
loop_
=====


qqless o/

v c

Looking good, congratulations to both sides o7


Halalo Yeah!!

(What comes next are materials data, not part of the piece)
- - -
(1)
Theoretical powder XRD pattern
Compound: CaInNiPt
Radiation: a wavelength of 1.5418 Å
Structure: a GGA-PBE-relaxed structure

The 6 most intense peaks (2θ from 10° to 90°), by angle:
2θ (°), I_rel
23.11, 29
38.19, 100
45.12, 16
55.12, 17
69.03, 34
81.73, 11

Atomic structure:
```
data_CaInNiPt
_chemical_formula_sum 'Ca1 In1 Ni1 Pt1'
_cell_length_a 4.713
_cell_length_b 4.713
_cell_length_c 4.713
_cell_angle_alpha 60.00
_cell_angle_beta 60.00
_cell_angle_gamma 60.00
_symmetry_space_group_name_H-M 'P 1'
_symmetry_Int_Tables_number 1
_symmetry_space_group_name_Hall 'P 1'
loop_
_atom_site_label
_atom_site_type_symbol
_atom_site_fract_x
_atom_site_fract_y
_atom_site_fract_z
_atom_site_occupancy
Ca1 Ca 0.000 0.000 0.000 1
In1 In 0.500 0.500 0.500 1
Ni1 Ni 0.250 0.250 0.250 1
Pt1 Pt 0.750 0.750 0.750 1
```

(2)
Theoretical powder XRD pattern
Compound: CaIn2O3
Radiation: a wavelength of 1.5418 Å
Structure: a GGA-PBE-relaxed structure

The 6 most intense peaks (2θ from 10° to 90°), by angle:
2θ (°), I_rel
17.52, 41
30.58, 100
32.82, 59
41.61, 61
45.47, 33
54.36, 27

Atomic structure:
```
data_CaIn2O3
_chemical_formula_sum 'Ca2 In4 O6'
_cell_length_a 5.844
_cell_length_b 5.844
_cell_length_c 6.481
_cell_angle_alpha 90.00
_cell_angle_beta 90.00
_cell_angle_gamma 60.07
_symmetry_space_group_name_H-M 'P 1'
_symmetry_Int_Tables_number 1
_symmetry_space_group_name_Hall 'P 1'
loop_
_atom_site_label
_atom_site_type_symbol
_atom_site_fract_x
_atom_site_fract_y
_atom_site_fract_z
_atom_site_occupancy
Ca1 Ca 0.000 0.000 0.250 1
Ca2 Ca 0.000 0.000 0.750 1
In1 In 0.333 0.333 0.000 1
In2 In 0.333 0.333 0.500 1
In3 In 0.667 0.667 0.000 1
In4 In 0.667 0.667 0.500 1
O1 O 0.001 0.612 0.250 1
O2 O 0.387 0.613 0.750 1
O3 O 0.388 0.999 0.250 1
O4 O 0.612 0.001 0.750 1
O5 O 0.613 0.387 0.250 1
O6 O 0.999 0.388 0.750 1
```

(3)
Theoretical powder XRD pattern
Compound: Ca2In2O5
Radiation: a wavelength of 1.5418 Å
Structure: a GGA-PBE-relaxed structure

The 6 most intense peaks (2θ from 10° to 90°), by angle:
2θ (°), I_rel
21.29, 45
23.35, 23
30.29, 65
31.81, 100
54.83, 24
57.60, 22

Atomic structure:
```
data_Ca2In2O5
_chemical_formula_sum 'Ca8 In8 O20'
_cell_length_a 5.908
_cell_length_b 15.239
_cell_length_c 5.893
_cell_angle_alpha 90.00
_cell_angle_beta 90.00
_cell_angle_gamma 90.00
_symmetry_space_group_name_H-M 'P 1'
_symmetry_Int_Tables_number 1
_symmetry_space_group_name_Hall 'P 1'
loop_
_atom_site_label
_atom_site_type_symbol
_atom_site_fract_x
_atom_site_fract_y
_atom_site_fract_z
_atom_site_occupancy
Ca1 Ca 0.058 0.111 0.020 1
Ca2 Ca 0.058 0.389 0.020 1
Ca3 Ca 0.442 0.611 0.520 1
Ca4 Ca 0.442 0.889 0.520 1
Ca5 Ca 0.558 0.111 0.480 1
Ca6 Ca 0.558 0.389 0.480 1
Ca7 Ca 0.942 0.611 0.980 1
Ca8 Ca 0.942 0.889 0.980 1
In1 In 0.000 0.000 0.500 1
In2 In 0.000 0.500 0.500 1
In3 In 0.071 0.250 0.548 1
In4 In 0.429 0.750 0.048 1
In5 In 0.500 0.000 0.000 1
In6 In 0.500 0.500 0.000 1
In7 In 0.571 0.250 0.952 1
In8 In 0.929 0.750 0.452 1
O1 O 0.056 0.640 0.610 1
- - -

The countries that shuld have been screwed are the patetic ones that have been in our alliance with man power and dmg put in their attics and never touched.. countries like Brasil, France, Turky.. not the small ones that risk to get erased because of the idiocy and selfinesh of the leaders of those countries... but I guess thats what happens when you try to trust a Turk .. NEVER trust a TURK..

selfishness? idiocy? lol

like france that just lost Paris asmin? how is france not touched noob

4 month NAP 

Romania will sign a NAP with all 18+ members 

Asmin, wash your mouth you fool. Turkey fought against Serbia and wiped them for weeks. We are fighting Serbia Bosnia Denmark ever since. It is good to know that you dont represent a bit of Romania.

lol :o

not NAP, rent is 4 months long

<<<
Starting from a cell relaxed with PBE, the powder XRD pattern of Y3Ho7Tm was computed for Cu Kα.

Structure:
Cell lengths 6.9629, 5.4947, 9.8285 Å; angles 90.00, 109.93, 90.00 degrees
Positions (direct):
Y: 0.0000 0.0000 0.0000
Y: 0.2777 0.5000 0.4963
Y: 0.7223 0.5000 0.5037
Ho: 0.0000 0.0000 0.5000
Ho: 0.1498 0.5000 0.7923
Ho: 0.3212 0.5000 0.1400
Ho: 0.4222 0.0000 0.3298
Ho: 0.5778 0.0000 0.6702
Ho: 0.6788 0.5000 0.8600
Ho: 0.8502 0.5000 0.2077
Tm: 0.5000 0.0000 0.0000

Main lines, sorted by position (2θ = 10–90°):
hkl 2 0 -1, 2θ 25.6, rel. 21; hkl 2 1 0, 2θ 31.8, rel. 80; hkl 2 1 -2, 2θ 32.0, rel. 100; hkl 0 2 0, 2θ 32.6, rel. 57; hkl 0 1 3, 2θ 33.4, rel. 54; hkl 4 2 -2, 2θ 63.3, rel. 24

----------

This entry pairs a crystal structure of Li2MnV2O7 with its computed powder diffraction line list. Radiation: Cu Kα (λ = 1.5418 Å). Structure: a cell relaxed with PBE+U.
Peak positions follow from Bragg's law for the DFT cell and can differ from measured ones.

Structural model:
Cell lengths 8.177, 8.177, 8.177 Å; angles 37.52, 37.52, 37.52 degrees
Fractional coordinates of all 12 atoms:
Li: 0.230 0.230 0.230
Li: 0.770 0.770 0.770
Mn: 0.500 0.500 0.500
V: 0.079 0.079 0.079
V: 0.921 0.921 0.921
O: 0.000 0.000 0.000
O: 0.129 0.401 0.788
O: 0.212 0.599 0.871
O: 0.401 0.788 0.129
O: 0.599 0.871 0.212
O: 0.788 0.129 0.401
O: 0.871 0.212 0.599

Main lines, sorted by position (10 to 80 degrees two-theta):
| 2θ/deg | I_rel |
| --- | --- |
| 11.66 | 49.9 |
| 19.88 | 22.2 |
| 21.00 | 100.0 |
| 23.43 | 16.8 |
| 27.69 | 46.4 |
| 33.85 | 32.1 |
| 34.09 | 43.0 |
| 61.02 | 18.4 |

----------

1.
# Li2CrSi2O6
Simulated powder diffractogram, Cu Kα (λ = 1.5418 Å). Input: a DFT-relaxed cell (GGA+U, the Materials Project).
Intensities are scaled so that the largest is 100.

Main lines, in order of falling intensity (10 to 80 degrees two-theta):
d 4.082, intensity 100; d 2.554, intensity 33; d 2.488, intensity 18; d 1.468, intensity 12; d 2.248, intensity 9; d 1.413, intensity 8; d 4.955, intensity 8; d 2.185, intensity 8; d 2.070, intensity 7; d 2.283, intensity 6

Crystal structure
a b c (Å): 10.8189 5.1098 10.7886
angles (deg): 76.65 27.36 75.99
Element x y z (fractional)
Li1 0.0762 0.4238 0.0907
Li2 0.1593 0.8407 0.1738
Li3 0.4238 0.0762 0.4093
Li4 0.8407 0.1593 0.8262
Cr1 0.2253 0.2253 0.2747
Cr2 0.9753 0.9753 0.0247
Si1 0.2386 0.6612 0.4308
Si2 0.5806 0.8192 0.5888
Si3 0.6612 0.2386 0.6694
Si4 0.8192 0.5806 0.0114
O1 0.0328 0.4922 0.7148
O2 0.1661 0.6284 0.3549
O3 0.2280 0.9748 0.4529
O4 0.3993 0.8951 0.6216
O5 0.4898 0.5352 0.7578
O6 0.4922 0.0328 0.7602
O7 0.5352 0.4898 0.2172
O8 0.6284 0.1661 0.8507
O9 0.7971 0.9057 0.0220
O10 0.8951 0.3993 0.0839
O11 0.9057 0.7971 0.2752
O12 0.9748 0.2280 0.3443

2.
# Li2CrSi3O8
Simulated powder diffractogram, Cu Kα (λ = 1.5418 Å). Input: a DFT-relaxed cell (GGA+U, the Materials Project).
Intensities are scaled so that the largest is 100.

Main lines, in order of falling intensity (10 to 80 degrees two-theta):
>>>
(The materials data stop here)

Sometimos war is short